### Given
+++
# 1
This entry pairs a crystal structure of Ac7Ge3 with its simulated powder XRD pattern. Radiation: CuKα. Structure: a crystal structure in Alexandria, relaxed with PBE.
No peak broadening, texture or thermal motion is included.

```
data_Ac7Ge3
_cell_length_a 11.0078
_cell_length_b 11.0078
_cell_length_c 7.0218
_cell_angle_alpha 90.00
_cell_angle_beta 90.00
_cell_angle_gamma 120.00
_symmetry_space_group_name_H-M 'P 63 m c'
_symmetry_Int_Tables_number 186
_symmetry_space_group_name_Hall 'P 6c -2c'
loop_
_atom_site_label
_atom_site_fract_x
_atom_site_fract_y
_atom_site_fract_z
Ac1 0.0780 0.5390 0.0000
Ac2 0.1233 0.2466 0.2834
Ac3 0.3333 0.6667 0.4604
Ge1 0.1910 0.3820 0.7125
```

Top 6 peaks for 15° ≤ 2θ ≤ 90°, sorted by position:
2theta	intensity	h k l
27.07	46	1 0 2
27.83	100	2 1 1
30.89	51	3 0 1
31.65	39	2 0 2
32.54	26	2 2 0
49.08	29	3 2 2

# 2
This entry pairs a crystal structure of Ac4Ge3 with its simulated powder XRD pattern. Radiation: CuKα. Structure: a crystal structure in Alexandria, relaxed with PBE.
No peak broadening, texture or thermal motion is included.

```
data_Ac4Ge3
_cell_length_a 9.7824
_cell_length_b 9.7824
_cell_length_c 9.7824
_cell_angle_alpha 90.00
_cell_angle_beta 90.00
_cell_angle_gamma 90.00
_symmetry_space_group_name_H-M 'I -4 3 d'
_symmetry_Int_Tables_number 220
_symmetry_space_group_name_Hall 'I -4bd 2c 3'
loop_
_atom_site_label
_atom_site_fract_x
_atom_site_fract_y
_atom_site_fract_z
Ac1 0.0642 0.0642 0.0642
Ge1 0.0000 0.2500 0.3750
```

Top 6 peaks for 15° ≤ 2θ ≤ 90°, sorted by position:
2theta	intensity	h k l
22.26	22	2 1 1
25.76	26	2 2 0
28.86	100	3 1 0
34.30	61	3 2 1
47.39	45	4 3 1
58.13	22	6 1 1

# 3
This entry pairs a crystal structure of Ac5Ge6 with its simulated powder XRD pattern. Radiation: CuKα. Structure: a crystal structure in Alexandria, relaxed with PBE.
No peak broadening, texture or thermal motion is included.

```
data_Ac5Ge6
_cell_length_a 4.2760
_cell_length_b 31.3507
_cell_length_c 4.7879
_cell_angle_alpha 90.00
_cell_angle_beta 90.00
_cell_angle_gamma 90.00
_symmetry_space_group_name_H-M 'C m m m'
_symmetry_Int_Tables_number 65
_symmetry_space_group_name_Hall '-C 2 2'
loop_
_atom_site_label
_atom_site_fract_x
_atom_site_fract_y
_atom_site_fract_z
Ac1 0.0000 0.0000 0.0000
Ac2 0.0000 0.1976 0.5000
Ac3 0.0000 0.3873 0.0000
Ge1 0.0000 0.0929 0.5000
Ge2 0.0000 0.2781 0.0000
Ge3 0.0000 0.4586 0.5000
```

Top 6 peaks for 15° ≤ 2θ ≤ 90°, sorted by position:
2theta	intensity	h k l
25.21	40	1 5 0
28.47	25	0 10 0
29.28	100	1 3 1
29.45	53	0 8 1
34.52	25	1 7 1
37.57	30	0 0 2

# 4
This entry pairs a crystal structure of Ac3GeH3 with its simulated powder XRD pattern. Radiation: CuKα. Structure: a crystal structure in Alexandria, relaxed with PBE.
No peak broadening, texture or thermal motion is included.

```
data_Ac3GeH3
_cell_length_a 8.9356
_cell_length_b 8.9356
_cell_length_c 4.6032
_cell_angle_alpha 90.00
_cell_angle_beta 90.00
_cell_angle_gamma 120.00
_symmetry_space_group_name_H-M 'P 63/m'
_symmetry_Int_Tables_number 176
_symmetry_space_group_name_Hall '-P 6c'
loop_
_atom_site_label
_atom_site_fract_x
_atom_site_fract_y
_atom_site_fract_z
Ac1 0.0833 0.3711 0.2500
Ge1 0.3333 0.6667 0.7500
H1 0.0494 0.2332 0.7500
```

Top 6 peaks for 15° ≤ 2θ ≤ 90°, sorted by position:
2theta	intensity	h k l
27.83	100	1 1 1
30.17	55	2 0 1
30.56	47	1 2 0
46.70	23	3 1 1
50.46	24	1 2 2
55.47	28	2 3 1

# 5
This entry pairs a crystal structure of AcGeH2Ir2 with its simulated powder XRD pattern. Radiation: CuKα. Structure: a crystal structure in Alexandria, relaxed with PBE.
No peak broadening, texture or thermal motion is included.

```
data_AcGeH2Ir2
_cell_length_a 6.0904
_cell_length_b 5.6343
_cell_length_c 6.1218
_cell_angle_alpha 90.00
_cell_angle_beta 101.23
_cell_angle_gamma 90.00
_symmetry_space_group_name_H-M 'P 1 21/m 1'
_symmetry_Int_Tables_number 11
loop_
_symmetry_equiv_pos_as_xyz
'x,y,z'
'-x,-y,-z'
'-x,y+1/2,-z'
'x,-y+1/2,z'
loop_
_atom_site_label
_atom_site_fract_x
_atom_site_fract_y
+++

### Assignment
Next, return the lines further above word for word.

### Result
# 1
This entry pairs a crystal structure of Ac7Ge3 with its simulated powder XRD pattern. Radiation: CuKα. Structure: a crystal structure in Alexandria, relaxed with PBE.
No peak broadening, texture or thermal motion is included.

```
data_Ac7Ge3
_cell_length_a 11.0078
_cell_length_b 11.0078
_cell_length_c 7.0218
_cell_angle_alpha 90.00
_cell_angle_beta 90.00
_cell_angle_gamma 120.00
_symmetry_space_group_name_H-M 'P 63 m c'
_symmetry_Int_Tables_number 186
_symmetry_space_group_name_Hall 'P 6c -2c'
loop_
_atom_site_label
_atom_site_fract_x
_atom_site_fract_y
_atom_site_fract_z
Ac1 0.0780 0.5390 0.0000
Ac2 0.1233 0.2466 0.2834
Ac3 0.3333 0.6667 0.4604
Ge1 0.1910 0.3820 0.7125
```

Top 6 peaks for 15° ≤ 2θ ≤ 90°, sorted by position:
2theta	intensity	h k l
27.07	46	1 0 2
27.83	100	2 1 1
30.89	51	3 0 1
31.65	39	2 0 2
32.54	26	2 2 0
49.08	29	3 2 2

# 2
This entry pairs a crystal structure of Ac4Ge3 with its simulated powder XRD pattern. Radiation: CuKα. Structure: a crystal structure in Alexandria, relaxed with PBE.
No peak broadening, texture or thermal motion is included.

```
data_Ac4Ge3
_cell_length_a 9.7824
_cell_length_b 9.7824
_cell_length_c 9.7824
_cell_angle_alpha 90.00
_cell_angle_beta 90.00
_cell_angle_gamma 90.00
_symmetry_space_group_name_H-M 'I -4 3 d'
_symmetry_Int_Tables_number 220
_symmetry_space_group_name_Hall 'I -4bd 2c 3'
loop_
_atom_site_label
_atom_site_fract_x
_atom_site_fract_y
_atom_site_fract_z
Ac1 0.0642 0.0642 0.0642
Ge1 0.0000 0.2500 0.3750
```

Top 6 peaks for 15° ≤ 2θ ≤ 90°, sorted by position:
2theta	intensity	h k l
22.26	22	2 1 1
25.76	26	2 2 0
28.86	100	3 1 0
34.30	61	3 2 1
47.39	45	4 3 1
58.13	22	6 1 1

# 3
This entry pairs a crystal structure of Ac5Ge6 with its simulated powder XRD pattern. Radiation: CuKα. Structure: a crystal structure in Alexandria, relaxed with PBE.
No peak broadening, texture or thermal motion is included.

```
data_Ac5Ge6
_cell_length_a 4.2760
_cell_length_b 31.3507
_cell_length_c 4.7879
_cell_angle_alpha 90.00
_cell_angle_beta 90.00
_cell_angle_gamma 90.00
_symmetry_space_group_name_H-M 'C m m m'
_symmetry_Int_Tables_number 65
_symmetry_space_group_name_Hall '-C 2 2'
loop_
_atom_site_label
_atom_site_fract_x
_atom_site_fract_y
_atom_site_fract_z
Ac1 0.0000 0.0000 0.0000
Ac2 0.0000 0.1976 0.5000
Ac3 0.0000 0.3873 0.0000
Ge1 0.0000 0.0929 0.5000
Ge2 0.0000 0.2781 0.0000
Ge3 0.0000 0.4586 0.5000
```

Top 6 peaks for 15° ≤ 2θ ≤ 90°, sorted by position:
2theta	intensity	h k l
25.21	40	1 5 0
28.47	25	0 10 0
29.28	100	1 3 1
29.45	53	0 8 1
34.52	25	1 7 1
37.57	30	0 0 2

# 4
This entry pairs a crystal structure of Ac3GeH3 with its simulated powder XRD pattern. Radiation: CuKα. Structure: a crystal structure in Alexandria, relaxed with PBE.
No peak broadening, texture or thermal motion is included.

```
data_Ac3GeH3
_cell_length_a 8.9356
_cell_length_b 8.9356
_cell_length_c 4.6032
_cell_angle_alpha 90.00
_cell_angle_beta 90.00
_cell_angle_gamma 120.00
_symmetry_space_group_name_H-M 'P 63/m'
_symmetry_Int_Tables_number 176
_symmetry_space_group_name_Hall '-P 6c'
loop_
_atom_site_label
_atom_site_fract_x
_atom_site_fract_y
_atom_site_fract_z
Ac1 0.0833 0.3711 0.2500
Ge1 0.3333 0.6667 0.7500
H1 0.0494 0.2332 0.7500
```

Top 6 peaks for 15° ≤ 2θ ≤ 90°, sorted by position:
2theta	intensity	h k l
27.83	100	1 1 1
30.17	55	2 0 1
30.56	47	1 2 0
46.70	23	3 1 1
50.46	24	1 2 2
55.47	28	2 3 1

# 5
This entry pairs a crystal structure of AcGeH2Ir2 with its simulated powder XRD pattern. Radiation: CuKα. Structure: a crystal structure in Alexandria, relaxed with PBE.
No peak broadening, texture or thermal motion is included.

```
data_AcGeH2Ir2
_cell_length_a 6.0904
_cell_length_b 5.6343
_cell_length_c 6.1218
_cell_angle_alpha 90.00
_cell_angle_beta 101.23
_cell_angle_gamma 90.00
_symmetry_space_group_name_H-M 'P 1 21/m 1'
_symmetry_Int_Tables_number 11
loop_
_symmetry_equiv_pos_as_xyz
'x,y,z'
'-x,-y,-z'
'-x,y+1/2,-z'
'x,-y+1/2,z'
loop_
_atom_site_label
_atom_site_fract_x
_atom_site_fract_y